Assignment:
It remains to transcribe everything further down unchanged.
Material:
~~~
# Hf4AsP
Calculated powder diffraction line list, Cu Kα, 1.54184 Å. Input: a structure optimized by DFT (GGA-PBE).

Most intense lines, 5 to 70 degrees two-theta, in order of rising 2θ:
| Position (°2θ) | d [Å] | I_rel | (hkl) |
| --- | --- | --- | --- |
| 26.9 | 3.319 | 36 | 2 0 0 |
| 31.1 | 2.873 | 87 | 0 2 0 |
| 32.8 | 2.730 | 100 | 0 1 2 |
| 34.9 | 2.572 | 78 | 2 1 -2 |
| 41.6 | 2.171 | 46 | 2 2 0 |
| 47.1 | 1.930 | 18 | 2 0 2 |
| 49.9 | 1.829 | 19 | 2 1 2 |
| 55.0 | 1.670 | 17 | 2 0 -4 |
| 56.5 | 1.629 | 17 | 0 3 2 |
| 57.8 | 1.594 | 33 | 4 1 0 |

Structural model:
a = 7.176 Å, b = 5.743 Å, c = 6.709 Å
α = 90.00°, β = 112.35°, γ = 90.00°
Space group P2_1/c (No. 14)
Unique sites:
Hf (0.185, 0.222, 0.347)
Hf (0.289, 0.722, 0.140)
As (0.500, 0.000, 0.000)
P (0.000, 0.000, 0.000)

* * * * *

# 1
Starting from DFT lattice parameters and positions (PBE+U), the powder diffractogram of NdMn5Cu2O12 was calculated for CuKα.

Cell and atoms:
Cell: 7.399 7.517 7.599 Å, 90.00 90.00 90.00°
Space group Immm (No. 71)
Symmetry-distinct sites (fractional):
Nd 0.000 0.000 0.000 (multiplicity 2)
Mn 0.000 0.000 0.500 (multiplicity 2)
Mn 0.250 0.250 0.250 (multiplicity 8)
Cu 0.000 0.500 0.000 (multiplicity 2)
Cu 0.000 0.500 0.500 (multiplicity 2)
O 0.000 0.172 0.302 (multiplicity 8)
O 0.176 0.312 0.000 (multiplicity 8)
O 0.195 0.500 0.331 (multiplicity 8)

Largest 6 diffraction maxima, in order of falling intensity, 10 to 80 degrees two-theta:
d/Å  I_rel
2.672  1000
2.637  936
2.651  927
1.541  469
1.533  466
1.521  438

# 2
Starting from DFT lattice parameters and positions (PBE+U), the powder diffractogram of NdMn4Cu3O12 was calculated for CuKα.

Cell and atoms:
Cell: 7.446 7.446 7.446 Å, 90.00 90.00 90.00°
Space group Im-3 (No. 204)
Symmetry-distinct sites (fractional):
Nd 0.000 0.000 0.000 (multiplicity 2)
Mn 0.250 0.250 0.250 (multiplicity 8)
Cu 0.000 0.000 0.500 (multiplicity 6)
O 0.000 0.306 0.170 (multiplicity 24)

Largest 6 diffraction maxima, in order of falling intensity, 10 to 80 degrees two-theta:
d/Å  I_rel
2.633  1000
1.520  475
1.862  248
1.316  119
5.265  110
2.355  94

# 3
Starting from DFT lattice parameters and positions (PBE+U), the powder diffractogram of Sr2Nd2MnCuO8 was calculated for CuKα.

Cell and atoms:
Cell: 3.837 6.931 14.902 Å, 80.18 82.62 74.03°
Space group P-1 (No. 2)
Symmetry-distinct sites (fractional):
Sr 0.144 0.250 0.465 (multiplicity 2)
Sr 0.144 0.995 0.717 (multiplicity 2)
Nd 0.132 0.757 0.963 (multiplicity 2)
Nd 0.138 0.517 0.211 (multiplicity 2)
Mn 0.499 0.372 0.626 (multiplicity 2)
Cu 0.498 0.122 0.877 (multiplicity 2)
O 0.006 0.621 0.369 (multiplicity 2)
O 0.007 0.871 0.119 (multiplicity 2)
O 0.307 0.436 0.922 (multiplicity 2)
O 0.323 0.209 0.156 (multiplicity 2)
O 0.338 0.644 0.676 (multiplicity 2)
O 0.347 0.903 0.412 (multiplicity 2)
O 0.495 0.255 0.754 (multiplicity 2)
O 0.500 0.000 0.000 (multiplicity 1)
O 0.500 0.500 0.500 (multiplicity 1)

Largest 6 diffraction maxima, in order of falling intensity, 10 to 80 degrees two-theta:
d/Å  I_rel
2.711  1000
2.845  716
1.917  510
2.827  372
2.858  350
2.120  299

# 4
Starting from DFT lattice parameters and positions (PBE+U), the powder diffractogram of Sr2Nd2MnCuO8 was calculated for CuKα.

Cell and atoms:
Cell: 3.853 3.853 12.671 Å, 90.00 90.00 90.00°
Space group P4/mmm (No. 123)
Symmetry-distinct sites (fractional):
Sr 0.000 0.000 0.144 (multiplicity 2)
Nd 0.500 0.500 0.362 (multiplicity 2)
Mn 0.500 0.500 0.000 (multiplicity 1)
Cu 0.000 0.000 0.500 (multiplicity 1)
O 0.000 0.000 0.341 (multiplicity 2)
O 0.000 0.500 0.000 (multiplicity 2)
O 0.000 0.500 0.500 (multiplicity 2)
O 0.500 0.500 0.185 (multiplicity 2)

Largest 6 diffraction maxima, in order of falling intensity, 10 to 80 degrees two-theta:
d/Å  I_rel
2.847  1000
2.725  707
1.927  367
1.596  362
2.066  277
1.424  207

# 5
Starting from DFT lattice parameters and positions (PBE+U), the powder diffractogram of Mn3Cu2NiP6O24 was calculated for CuKα.

Cell and atoms:
~~~
Solution:
# Hf4AsP
Calculated powder diffraction line list, Cu Kα, 1.54184 Å. Input: a structure optimized by DFT (GGA-PBE).

Most intense lines, 5 to 70 degrees two-theta, in order of rising 2θ:
| Position (°2θ) | d [Å] | I_rel | (hkl) |
| --- | --- | --- | --- |
| 26.9 | 3.319 | 36 | 2 0 0 |
| 31.1 | 2.873 | 87 | 0 2 0 |
| 32.8 | 2.730 | 100 | 0 1 2 |
| 34.9 | 2.572 | 78 | 2 1 -2 |
| 41.6 | 2.171 | 46 | 2 2 0 |
| 47.1 | 1.930 | 18 | 2 0 2 |
| 49.9 | 1.829 | 19 | 2 1 2 |
| 55.0 | 1.670 | 17 | 2 0 -4 |
| 56.5 | 1.629 | 17 | 0 3 2 |
| 57.8 | 1.594 | 33 | 4 1 0 |

Structural model:
a = 7.176 Å, b = 5.743 Å, c = 6.709 Å
α = 90.00°, β = 112.35°, γ = 90.00°
Space group P2_1/c (No. 14)
Unique sites:
Hf (0.185, 0.222, 0.347)
Hf (0.289, 0.722, 0.140)
As (0.500, 0.000, 0.000)
P (0.000, 0.000, 0.000)

* * * * *

# 1
Starting from DFT lattice parameters and positions (PBE+U), the powder diffractogram of NdMn5Cu2O12 was calculated for CuKα.

Cell and atoms:
Cell: 7.399 7.517 7.599 Å, 90.00 90.00 90.00°
Space group Immm (No. 71)
Symmetry-distinct sites (fractional):
Nd 0.000 0.000 0.000 (multiplicity 2)
Mn 0.000 0.000 0.500 (multiplicity 2)
Mn 0.250 0.250 0.250 (multiplicity 8)
Cu 0.000 0.500 0.000 (multiplicity 2)
Cu 0.000 0.500 0.500 (multiplicity 2)
O 0.000 0.172 0.302 (multiplicity 8)
O 0.176 0.312 0.000 (multiplicity 8)
O 0.195 0.500 0.331 (multiplicity 8)

Largest 6 diffraction maxima, in order of falling intensity, 10 to 80 degrees two-theta:
d/Å  I_rel
2.672  1000
2.637  936
2.651  927
1.541  469
1.533  466
1.521  438

# 2
Starting from DFT lattice parameters and positions (PBE+U), the powder diffractogram of NdMn4Cu3O12 was calculated for CuKα.

Cell and atoms:
Cell: 7.446 7.446 7.446 Å, 90.00 90.00 90.00°
Space group Im-3 (No. 204)
Symmetry-distinct sites (fractional):
Nd 0.000 0.000 0.000 (multiplicity 2)
Mn 0.250 0.250 0.250 (multiplicity 8)
Cu 0.000 0.000 0.500 (multiplicity 6)
O 0.000 0.306 0.170 (multiplicity 24)

Largest 6 diffraction maxima, in order of falling intensity, 10 to 80 degrees two-theta:
d/Å  I_rel
2.633  1000
1.520  475
1.862  248
1.316  119
5.265  110
2.355  94

# 3
Starting from DFT lattice parameters and positions (PBE+U), the powder diffractogram of Sr2Nd2MnCuO8 was calculated for CuKα.

Cell and atoms:
Cell: 3.837 6.931 14.902 Å, 80.18 82.62 74.03°
Space group P-1 (No. 2)
Symmetry-distinct sites (fractional):
Sr 0.144 0.250 0.465 (multiplicity 2)
Sr 0.144 0.995 0.717 (multiplicity 2)
Nd 0.132 0.757 0.963 (multiplicity 2)
Nd 0.138 0.517 0.211 (multiplicity 2)
Mn 0.499 0.372 0.626 (multiplicity 2)
Cu 0.498 0.122 0.877 (multiplicity 2)
O 0.006 0.621 0.369 (multiplicity 2)
O 0.007 0.871 0.119 (multiplicity 2)
O 0.307 0.436 0.922 (multiplicity 2)
O 0.323 0.209 0.156 (multiplicity 2)
O 0.338 0.644 0.676 (multiplicity 2)
O 0.347 0.903 0.412 (multiplicity 2)
O 0.495 0.255 0.754 (multiplicity 2)
O 0.500 0.000 0.000 (multiplicity 1)
O 0.500 0.500 0.500 (multiplicity 1)

Largest 6 diffraction maxima, in order of falling intensity, 10 to 80 degrees two-theta:
d/Å  I_rel
2.711  1000
2.845  716
1.917  510
2.827  372
2.858  350
2.120  299

# 4
Starting from DFT lattice parameters and positions (PBE+U), the powder diffractogram of Sr2Nd2MnCuO8 was calculated for CuKα.

Cell and atoms:
Cell: 3.853 3.853 12.671 Å, 90.00 90.00 90.00°
Space group P4/mmm (No. 123)
Symmetry-distinct sites (fractional):
Sr 0.000 0.000 0.144 (multiplicity 2)
Nd 0.500 0.500 0.362 (multiplicity 2)
Mn 0.500 0.500 0.000 (multiplicity 1)
Cu 0.000 0.000 0.500 (multiplicity 1)
O 0.000 0.000 0.341 (multiplicity 2)
O 0.000 0.500 0.000 (multiplicity 2)
O 0.000 0.500 0.500 (multiplicity 2)
O 0.500 0.500 0.185 (multiplicity 2)

Largest 6 diffraction maxima, in order of falling intensity, 10 to 80 degrees two-theta:
d/Å  I_rel
2.847  1000
2.725  707
1.927  367
1.596  362
2.066  277
1.424  207

# 5
Starting from DFT lattice parameters and positions (PBE+U), the powder diffractogram of Mn3Cu2NiP6O24 was calculated for CuKα.

Cell and atoms: